Senator Klobuchar Co-sponsors Bill to Remove Wolf Protections

=====
# 1
{
  "formula": "C4H5NO",
  "method": "the ωB97M-V functional and the def2-TZVPD basis",
  "charge": 0,
  "energy_ha": -285.3042,
  "spin_multiplicity": 1,
  "orbital_gap_ev": 8.969,
  "elements": ["C", "C", "O", "C", "N", "C", "H", "H", "H", "H", "H"],
  "xyz": [[0.09, -0.68, 0.78], [0.72, -1.44, -0.38], [0.76, -1.01, -1.51], [-1.48, 1.93, -0.93], [-0.62, 1.41, -0.22], [0.11, 0.82, 0.63], [-0.95, -1.04, 0.87], [0.61, -0.98, 1.70], [1.11, -2.46, -0.15], [-1.19, 2.03, -1.98], [0.84, 1.41, 1.18]]
}

# 2
{
  "formula": "C4H5NO",
  "method": "the ωB97M-V functional and the def2-TZVPD basis",
  "charge": 0,
  "energy_ha": -285.2845,
  "spin_multiplicity": 1,
  "smiles": "[H]/N=c1/cc1CO",
  "orbital_gap_ev": 10.246,
  "elements": ["C", "C", "C", "C", "N", "O", "H", "H", "H", "H", "H"],
  "xyz": [[0.57, 0.52, 1.17], [-0.07, -0.03, 0.12], [-0.56, 1.22, 0.71], [0.04, -1.03, -0.92], [-1.22, 2.27, 0.70], [1.11, -2.02, -0.72], [1.32, 0.44, 1.99], [0.01, -0.50, -1.90], [-0.91, -1.59, -1.01], [-1.84, 2.23, -0.12], [1.56, -1.50, -0.01]]
}

Repeat the second record exactly.
{
  "formula": "C4H5NO",
  "method": "the ωB97M-V functional and the def2-TZVPD basis",
  "charge": 0,
  "energy_ha": -285.2845,
  "spin_multiplicity": 1,
  "smiles": "[H]/N=c1/cc1CO",
  "orbital_gap_ev": 10.246,
  "elements": ["C", "C", "C", "C", "N", "O", "H", "H", "H", "H", "H"],
  "xyz": [[0.57, 0.52, 1.17], [-0.07, -0.03, 0.12], [-0.56, 1.22, 0.71], [0.04, -1.03, -0.92], [-1.22, 2.27, 0.70], [1.11, -2.02, -0.72], [1.32, 0.44, 1.99], [0.01, -0.50, -1.90], [-0.91, -1.59, -1.01], [-1.84, 2.23, -0.12], [1.56, -1.50, -0.01]]
}

- Look up the charge of the second one.
  0

- What is the charge in the first record?
  0

Please write out number 2 again, unchanged.
{
  "formula": "C4H5NO",
  "method": "the ωB97M-V functional and the def2-TZVPD basis",
  "charge": 0,
  "energy_ha": -285.2845,
  "spin_multiplicity": 1,
  "smiles": "[H]/N=c1/cc1CO",
  "orbital_gap_ev": 10.246,
  "elements": ["C", "C", "C", "C", "N", "O", "H", "H", "H", "H", "H"],
  "xyz": [[0.57, 0.52, 1.17], [-0.07, -0.03, 0.12], [-0.56, 1.22, 0.71], [0.04, -1.03, -0.92], [-1.22, 2.27, 0.70], [1.11, -2.02, -0.72], [1.32, 0.44, 1.99], [0.01, -0.50, -1.90], [-0.91, -1.59, -1.01], [-1.84, 2.23, -0.12], [1.56, -1.50, -0.01]]
}


No. 1
Molecular formula: FHNO3
Method: DFT, ωB97M-V/def2-TZVPD

## Properties
charge = -1
energy above the lowest of the compared OMol25 structures with the same formula, charge and spin = 30.85 kcal/mol
electronic energy = -10361.2800 eV
E_LUMO (spin up / spin down) = 3.102 / 3.106 eV
frontier orbital gap (spin up / spin down) = 6.80 / 6.82 eV

Atoms and positions in Å:
F: 0.18757 -1.27246 -1.06015
O: -0.64593 -0.90338 1.07171
O: -0.90188 1.60966 -0.23599
O: 1.42641 -0.25728 0.65111
N: 0.26136 -0.47342 0.50148
H: -0.32752 1.29687 -0.92816


No. 2
Molecular formula: FHO2PRb
Method: DFT, ωB97M-V/def2-TZVPD

## Properties
electronic energy = -16774.0178 eV
E_LUMO = -1.230 eV
frontier orbital gap = 6.87 eV
=====
January 18, 2017
(Molecular data that have nothing to do with the page)
(1)
Computed, not measured: C18H26BCl6F4KN2O9PS as an isolated structure, with the ωB97M-V functional and the def2-TZVPD basis.

```
69
C18H26BCl6F4KN2O9PS (the ωB97M-V functional and the def2-TZVPD basis)
N 2.570 1.059 -2.440
P 1.335 1.016 -1.510
C 0.232 2.457 -1.959
C 1.035 3.720 -2.311
Cl 1.643 3.746 -3.951
N -0.012 4.856 -2.208
B 0.406 6.085 -1.322
O -0.281 7.198 -1.640
O 1.435 5.912 -0.477
C -1.352 4.250 -1.739
C -2.268 4.016 -2.947
C -3.781 4.150 -2.680
C -4.463 2.792 -2.508
O -5.780 2.873 -1.929
C -0.755 3.072 -0.973
S -1.876 2.072 -0.044
O -1.134 1.534 1.026
O -3.061 2.837 0.154
F -2.212 0.937 -1.051
H 3.476 1.074 -1.990
H 0.466 -0.070 -1.710
H 1.570 1.062 -0.121
H -0.235 2.140 -2.896
H 1.838 3.897 -1.599
H -0.093 5.221 -3.161
H -0.712 7.694 -0.937
H 1.343 5.889 0.480
H -1.817 4.968 -1.061
H -2.089 3.039 -3.405
H -1.999 4.757 -3.702
H -3.977 4.815 -1.832
H -4.212 4.636 -3.562
H -4.544 2.262 -3.455
H -3.861 2.179 -1.839
H -5.623 3.226 -1.042
H -0.150 3.486 -0.156
C 1.901 -3.541 1.796
C 2.655 -2.480 2.095
C 2.063 -1.134 2.199
O 2.721 -0.135 2.435
C 0.600 -1.003 1.979
C -0.154 -2.051 1.668
C 0.443 -3.412 1.548
O -0.255 -4.353 1.248
H 2.320 -4.536 1.728
H 3.719 -2.573 2.282
H 0.192 -0.008 2.073
H -1.221 -1.981 1.490
C -6.791 -0.481 -4.270
Cl -8.147 -1.220 -3.445
Cl -7.237 1.219 -4.692
Cl -5.380 -0.467 -3.208
Cl -6.419 -1.328 -5.752
C 4.228 -8.643 3.963
C 3.875 -7.528 4.915
O 4.840 -6.409 4.768
C 4.597 -5.585 3.800
O 3.724 -5.608 2.970
C 5.576 -4.383 3.835
F 6.851 -4.734 3.976
F 5.258 -3.549 4.834
F 5.454 -3.684 2.692
H 5.256 -8.981 4.110
H 3.549 -9.473 4.154
H 4.120 -8.332 2.923
H 3.963 -7.835 5.949
H 2.858 -7.170 4.784
Cl 1.275 -7.739 6.452
K -7.495 4.279 -2.798
```

Values from the calculation:
2S+1: 1
Net charge: +1
LUMO level: -4.78 eV

Here are the natural (NBO) charges for atoms 1 to 5, given in e: -1.30 1.35 -0.60 -0.04 0.08

(2)
Computed, not measured: C18H26BF4OP2SZr as an isolated structure, with the ωB97M-V functional and the def2-TZVPD basis.

```
54
C18H26BF4OP2SZr (the ωB97M-V functional and the def2-TZVPD basis)
Zr -0.643 -1.022 -0.537
C -1.949 1.911 -2.699
P -2.547 0.531 -1.707
C -3.840 -0.320 -2.631
C -3.319 1.252 -0.211
C -3.681 0.195 0.833
P -2.234 -0.606 1.623
C -2.846 -2.099 2.428
C -1.608 0.518 2.892
H -2.791 2.574 -2.908
H -1.547 1.555 -3.648
H -1.183 2.466 -2.160
H -4.576 0.417 -2.958
H -4.331 -1.070 -2.013
H -3.417 -0.813 -3.507
H -4.211 1.805 -0.518
H -2.628 1.999 0.192
H -4.286 -0.608 0.403
H -4.287 0.632 1.632
H -3.674 -1.822 3.085
H -2.062 -2.561 3.027
H -3.201 -2.816 1.689
H -2.417 0.693 3.605
H -1.299 1.469 2.460
H -0.768 0.069 3.421
O 0.420 0.632 -0.616
S 1.977 0.828 -1.082
C 2.732 2.013 -0.111
C 2.972 1.878 1.267
C 3.638 2.892 1.912
C 4.070 4.014 1.191
C 3.838 4.137 -0.170
C 3.156 3.134 -0.841
C 2.522 -0.768 -0.537
C 1.853 -1.477 0.472
C 2.319 -2.736 0.844
C 3.422 -3.281 0.198
C 4.066 -2.573 -0.808
C 3.617 -1.311 -1.187
H 2.670 0.990 1.808
H 3.847 2.822 2.971
H 4.609 4.798 1.709
H 4.188 5.006 -0.709
CONTACT: Dr. Maureen Hackett, Howling For Wolves, 612.250.5915 or Leslie Rosedahl,, 651.353.1818.
Howling For Wolves responds to newly-proposed federal legislation removing the gray wolf from the Endangered Species List
(St. Paul, Minn.) – This week federal legislation (H.R. 424 and S.R. 164) was introduced and co-sponsored by Senator Klobuchar (D-MN) that removes Endangered Species Act protections for the gray wolf in the Great Lakes region (which includes Minnesota) and places it under state regulation. This proposed legislation does not allow for legal challenges to the reissued rule.
Dr. Maureen Hackett, founder and president of Howling For Wolves, a Minnesota-based wolf advocacy organization, said in response:
“Howling For Wolves urges Congress to keep politics out of the Endangered Species Act and wolf regulations. Congress should support ethical, effective, nonlethal preventative strategies so communities and wolves can co-exist. We want to protect the wolf for future generations – not drive them into extinction with a wolf trophy hunt. Wolves are a keystone species that bring balance and habitat for many other species and our ecosystem.
In all states where wolves previously lost federal protections, hunting and trapping were immediately implemented and wolf poaching was unleashed and increased. The Minnesota Department of Natural Resources has said they will ‘pick up where they left off’ with a wolf hunting and trapping season if the wolf loses federal protections. State officials continue to disregard the damage that wolf-killing has on the population, the pack structure, and the essential genetic diversity of the gray wolf.
If you adore our lakes, rivers, and forests, then you adore the wolf. The wolf makes wild habitat a reality. ‘Not without the wolf’ - Nearly all wild species rely on the habitat made possible by the wolf.”
Unrelated to this article: records of molecules:
DFT (ωB97M-V/def2-TZVPD) results for a molecular structure, C3H2BaO4 in a non-equilibrium geometry.

Results
- Energy relative to the best compared isomer or geometry (same formula, charge and spin): 0.0 kcal per mole
- Frontier orbital gap: 0.258 hartree
- F_max: 3.7 eV/Å

Geometry as ORCA input:
```
! RIJCOSX wB97M-V def2-TZVPD def2/J DEFGRID3
* xyz 0 1
H -0.516 -1.866 0.375
C -1.576 -0.176 0.057
C -0.500 -0.944 -0.265
O 0.621 -0.223 -0.687
C 1.722 0.035 0.190
O 2.306 -0.875 0.723
O 1.896 1.294 0.227
Ba 0.173 2.285 -0.703
O -1.576 1.144 -0.059
H -2.551 -0.674 0.143
*
```
Currently, Minnesota wolves have federal protection as threatened which keeps them from being hunted. As a “threatened” species under the Endangered Species Act and the wolf is killed by government agents for livestock predation. This change protected status was reinstated December 19, 2014 in a federal court decision overturning a 2011 U.S. Fish and Wildlife Service decision to delist the Great Lakes wolves. Minnesota had three consecutive wolf hunting and trapping seasons immediately upon the wolf losing federal protections from 2012 thru 2014. After the first year following the first wolf hunting and trapping season, the wolf population decreased by 25 percent. It has remained down ever since. The population potentially suffered a massive decrease in their genetic diversity needed for their survival.
Howling For Wolves is a Minnesota-based wolf advocacy organization that formed in 2012 to educate the public about the wild wolf to foster tolerance and to ensure the wolf’s long-term survival. Howling For Wolves opposes recreational wolf hunting and trapping and all wildlife snaring. We current support the continuation of federal protections for the wolf by the Endangered Species Act.